Bantu one (towns of the old Congo) they represent
most of the slaves entering to Cuba during the XVII
century and principles of the XVIII one. After the
trate about slaves it became illegal, the Yorubas
(towns of Nigeria and old el Calabar) they became
the main group of slaves arriving to Cuba. The sincretismo of the religion
Yoruba and the saints of the Catholic Church created
a commitment social called " santería ", which was
accepted by the Christendom during the Republic and
sponsored after 1959 as folkloric value and cultural
patrimony of the Cuban town. But symbiosis doesn't
exist between the Christendom and the pioneers of
the Bantu groups; the Paleros believes in a Supreme
God and Creator of the Universe but the theology conga
works with mpungos (you force intangible) that are
not antropomórficas like the Orichas. While the Santería
is accepted in the Cuban society, the Witchcraft of
the African magicians is still considered a diabolical
practice. The county of Matanzas, Cuba, represents
the biggest congregation in the religiosity of Palo
Monte. On Sunday 22 of June of 1919 in the City of
Matanzas, a three year-old girl, Cecilia Dalcourt,
strayed in the streets. The press and the police coincided
when affirming that Cecilia was kidnapped and sacrificed
by the sorcerers. Afro-Cuban supposedly practitioners
of Stick were imprisoned. The Dr. Armando Carnot,
mayor of the City, was accused of working with the
sorcerers and the crowd rioted in the gentle town.
That bloody night of June, the guards of the Castle
of San Severino opened fire. Eighty years later, the
mystery of the Niña Cecilia is still alive . During
1997 and 1998 drove field studies in Matanzas, Cuba,
including newspapers of the years 20's, you interview
with paleros and cause testimoniantes. The tomb of
the Niña Cecilia was open and the remains studied
• Inserted here: data records:
/*
Record 1
Cd3Ga2Ag7 | the Alexandria database | PBE | optimized geometry; total magnetic moment = 0.00 μB/f.u.; crystal system = trigonal; ΔE to the lowest computed polymorph = 0.090 eV per atom; DFT formation energy = 0.0761 eV/atom; calculated total energy = -0.0853 hartree per atom
1.0
2.8014 1.6174 8.7945
-2.8014 1.6174 8.7945
0.0000 -3.2347 8.7945
Cd Ga Ag
3 2 7
Direct
0.0000 0.0000 0.0000
0.1469 0.1469 0.1469
0.8531 0.8531 0.8531
0.3333 0.3333 0.3333
0.6667 0.6667 0.6667
0.0786 0.5840 0.5840
0.4160 0.4160 0.9214
0.4160 0.9214 0.4160
0.5000 0.5000 0.5000
0.5840 0.0786 0.5840
0.5840 0.5840 0.0786
0.9214 0.4160 0.4160

Record 2
NaTl4Cd4 | the Alexandria database | PBE | optimized geometry; total magnetic moment = 0.00 μB/f.u.; crystal system = tetragonal; DFT formation energy = -0.0077 eV/atom; calculated total energy = -0.0593 hartree per atom
1.0
-5.3177 5.3177 2.1405
5.3177 -5.3177 2.1405
5.3177 5.3177 -2.1405
Na Tl Cd
1 4 4
Direct
0.0000 0.0000 0.0000
0.3324 0.6649 0.9973
0.3351 0.3324 0.6674
0.6649 0.6676 0.3326
0.6676 0.3351 0.0027
0.0015 0.6550 0.6565
0.3450 0.0015 0.3465
0.6550 0.9985 0.6535
0.9985 0.3450 0.3435

Record 3
In2ReAu | the Alexandria database | PBE | optimized geometry; total magnetic moment = 0.03 μB/f.u.; crystal system = tetragonal; ΔE to the lowest computed polymorph = 0.159 eV per atom; DFT formation energy = 0.5077 eV/atom; calculated total energy = -0.1761 hartree per atom
1.0
3.6475 0.0000 0.0000
0.0000 3.6475 0.0000
0.0000 0.0000 5.8168
In Re Au
2 1 1
Direct
0.0000 0.0000 0.0000
0.5000 0.5000 0.3054
0.0000 0.0000 0.5012
0.5000 0.5000 0.7810

Record 4
Pu3Pa2O9 | the Alexandria database | PBE | optimized geometry; total magnetic moment = 14.06 μB/f.u.; formation energy (no corrections) = -45.15 eV per formula unit; crystal system = tetragonal; calculated total energy = -0.3984 hartree per atom
1.0
-1.9342 1.9342 13.6319
1.9342 -1.9342 13.6319
1.9342 1.9342 -13.6319
Pu Pa O
3 2 9
Direct
0.0000 0.0000 0.0000
0.4048 0.4048 0.0000
0.5952 0.5952 0.0000
0.1963 0.1963 0.0000
0.8037 0.8037 0.0000
0.0514 0.5514 0.5000
0.1590 0.6590 0.5000
0.3410 0.8410 0.5000
0.4486 0.9486 0.5000
0.5491 0.0491 0.5000
0.6523 0.1523 0.5000
0.7500 0.2500 0.5000
0.8477 0.3477 0.5000
0.9509 0.4509 0.5000

Record 5
Pm2YEr2 | the Alexandria database | PBE | optimized geometry; total magnetic moment = 0.00 μB/f.u.; crystal system = monoclinic; ΔE to the lowest computed polymorph = 0.008 eV per atom; DFT formation energy = 0.0198 eV/atom; calculated total energy = -0.1837 hartree per atom
1.0
5.6510 -2.5279 0.0000
5.6510 2.5279 0.0000
-5.6341 0.0000 5.6638
Pm Y Er
2 1 2
Direct
0.2011 0.2011 0.2993
0.7989 0.7989 0.7007
0.0000 0.0000 0.5000
0.3992 0.3992 0.0980
0.6008 0.6008 0.9020

Record 6
BaSnO3 | the Alexandria database | PBE | optimized geometry; total magnetic moment = 0.00 μB/f.u.; formation energy (no corrections) = -9.83 eV per formula unit; crystal system = hexagonal; calculated total energy = -0.2251 hartree per atom
1.0
3.9485 0.0000 0.0000
*/
by a forensic doctor. The supposed body of the crime
was a fetus in fact.
Anyone in the City of Matanzas knew that in eves
of the day 24 of June, summer solstice, Catholic calendar
of San Juan; it should not be left alone to the children.
It always existed the possibility that some black
sorcerer came to be stolen some boy.
I grew playing to the marbles and the kimbumbia in
the street Zaragoza, and by force of point to make
rotate the glass pellets on that street, we learned
how to recognize the bananas of Changó and the bags
with witchcraft.
In a corner was the First Iglesia Bautista that was
founded in 1895, in the other corner it was mortuary
Torres. So the block was good to deposit all magic
luck and sorcery there where they join all the incantations:
in the four corners.
Remains silent River (Tello Lamar remains silent they
baptized her then). To a couple of blocks the river
runs San Juan and walking in opposed address you arrives
at once at Rolando Teruel Cartaya house, founder of
The Union, the union that fought to win social rights
for the black workers during the Republic. Rolando
is now 92 years old and he is grandson of Remigio
Herrera (Addé Chinva) who it introduced the drums
batá in Matanzas and it began to the first babalao
(priest of Ifá) Cuban December 3 1872.
The asphalt had not Still covered the centennial paving
stones neither the granite sidewalks had remplazado
all the big flagstones of black stone. It was San
Juan's day and I wanted to leave to the street River
to play with the grocer's children. Then I was three
years old and my mother didn't have left it more remedy
than to explain eats up to that same age the girl
it had disappeared in that same street Cecilia.